dani-garcia / vaultwarden

Unofficial Bitwarden compatible server written in Rust, formerly known as bitwarden_rs
GNU Affero General Public License v3.0
34.71k stars 1.69k forks source link

Biometrics error while using Passkeys #4653

Closed just5ky closed 1 week ago

just5ky commented 2 weeks ago

Discussed in https://github.com/dani-garcia/vaultwarden/discussions/4652

Originally posted by **just5ky** June 18, 2024 ### Subject of the issue Since yesterday, I have been experiencing biometrics error in the browser extension while using Passkeys on websites. It was working fine before that, I have not made any changes to the server/config. It has previously never asked for biometrics either. Happening on both Mac and Windows. I am able to unlock the vault (desktop app and browser extension) using biometrics without any issues. ### Deployment environment ### Your environment (Generated via diagnostics page) * Vaultwarden version: v1.30.5 * Web-vault version: v2024.1.2b * OS/Arch: linux/x86_64 * Running within a container: true (Base: Debian) * Environment settings overridden: false * Uses a reverse proxy: true * IP Header check: true (X-Real-IP) * Internet access: true * Internet access via a proxy: false * DNS Check: true * Browser/Server Time Check: true * Server/NTP Time Check: true * Domain Configuration Check: true * HTTPS Check: true * Database type: SQLite * Database version: 3.44.0 * Clients used: * Reverse proxy and version: * Other relevant information: ### Config (Generated via diagnostics page)
Show Running Config **Environment settings which are overridden:** ```json { "_duo_akey": "***", "_enable_duo": true, "_enable_email_2fa": true, "_enable_smtp": true, "_enable_yubico": true, "_icon_service_csp": "", "_icon_service_url": "", "_ip_header_enabled": true, "_smtp_img_src": "cid:", "admin_ratelimit_max_burst": 3, "admin_ratelimit_seconds": 300, "admin_session_lifetime": 20, "admin_token": "***", "allowed_iframe_ancestors": "", "attachments_folder": "data/attachments", "auth_request_purge_schedule": "30 * * * * *", "authenticator_disable_time_drift": false, "data_folder": "data", "database_conn_init": "", "database_max_conns": 10, "database_timeout": 30, "database_url": "***************", "db_connection_retries": 15, "disable_2fa_remember": false, "disable_admin_token": false, "disable_icon_download": false, "domain": "*****://***************", "domain_origin": "*****://***************", "domain_path": "", "domain_set": true, "duo_host": null, "duo_ikey": null, "duo_skey": null, "email_attempts_limit": 3, "email_change_allowed": true, "email_expiration_time": 600, "email_token_size": 6, "emergency_access_allowed": true, "emergency_notification_reminder_schedule": "0 3 * * * *", "emergency_request_timeout_schedule": "0 7 * * * *", "enable_db_wal": true, "event_cleanup_schedule": "0 10 0 * * *", "events_days_retain": null, "experimental_client_feature_flags": "fido2-vault-credentials", "extended_logging": true, "helo_name": null, "hibp_api_key": null, "icon_blacklist_non_global_ips": true, "icon_blacklist_regex": null, "icon_cache_folder": "data/icon_cache", "icon_cache_negttl": 259200, "icon_cache_ttl": 2592000, "icon_download_timeout": 10, "icon_redirect_code": 302, "icon_service": "internal", "incomplete_2fa_schedule": "30 * * * * *", "incomplete_2fa_time_limit": 3, "invitation_expiration_hours": 120, "invitation_org_name": "Vaultwarden", "invitations_allowed": true, "ip_header": "X-Real-IP", "job_poll_interval_ms": 30000, "log_file": "/data/vaultwarden.log", "log_level": "warn", "log_timestamp_format": "%Y-%m-%d %H:%M:%S.%3f", "login_ratelimit_max_burst": 10, "login_ratelimit_seconds": 60, "org_attachment_limit": null, "org_creation_users": "", "org_events_enabled": false, "org_groups_enabled": false, "password_hints_allowed": true, "password_iterations": 600000, "push_enabled": true, "push_identity_uri": "https://identity.bitwarden.com", "push_installation_id": "***", "push_installation_key": "***", "push_relay_uri": "https://push.bitwarden.com", "reload_templates": false, "require_device_email": false, "rsa_key_filename": "data/rsa_key", "send_purge_schedule": "0 5 * * * *", "sendmail_command": null, "sends_allowed": true, "sends_folder": "data/sends", "show_password_hint": false, "signups_allowed": false, "signups_domains_whitelist": "", "signups_verify": false, "signups_verify_resend_limit": 6, "signups_verify_resend_time": 3600, "smtp_accept_invalid_certs": false, "smtp_accept_invalid_hostnames": false, "smtp_auth_mechanism": null, "smtp_debug": false, "smtp_embed_images": true, "smtp_explicit_tls": null, "smtp_from": "****************", "smtp_from_name": "Vaultwarden", "smtp_host": "*******************", "smtp_password": "***", "smtp_port": 587, "smtp_security": "starttls", "smtp_ssl": null, "smtp_timeout": 15, "smtp_username": "****************", "templates_folder": "data/templates", "tmp_folder": "data/tmp", "trash_auto_delete_days": null, "trash_purge_schedule": "0 5 0 * * *", "use_sendmail": false, "use_syslog": true, "user_attachment_limit": null, "user_send_limit": null, "web_vault_enabled": true, "web_vault_folder": "web-vault/", "websocket_address": "", "websocket_enabled": true, "websocket_port": 3012, "yubico_client_id": null, "yubico_secret_key": null, "yubico_server": null } ```
* vaultwarden version: 1.30.5 * Install method: Docker * Clients used: - Desktop app both windows & mac - Browser extension on Brave browser (both device) * Reverse proxy and version: Traefik v3.0.2 * MySQL/MariaDB or PostgreSQL version: No * Other relevant details: ### Steps to reproduce Login to any website and use Passkey stored in Vaultwarden as MFA ### Expected behaviour Should be able to authenticate normally ### Actual behaviour Getting biometrics error. ### Troubleshooting data ![image](https://github.com/dani-garcia/vaultwarden/assets/71321862/d1d5e524-7b87-41fa-ad39-07aa026616f5) ![image](https://github.com/dani-garcia/vaultwarden/assets/71321862/d16e2c78-4460-4c2a-9342-6f964dc3907b) ```yml vaultwarden: image: vaultwarden/server:latest container_name: vaultwarden restart: unless-stopped networks: - proxy environment: - WEBSOCKET_ENABLED=true - SIGNUPS_ALLOWED=false - ADMIN_TOKEN=$VAULTWARDEN_ADMIN_TOKEN - DOMAIN=$DOMAIN - LOG_FILE=/data/vaultwarden.log - EXTENDED_LOGGING=true - LOG_LEVEL=warn - USE_SYSLOG=true - SMTP_HOST=$SMTP_HOST - SMTP_PORT=587 - SMTP_SECURITY=starttls - SMTP_FROM=$SMTP_FROM - SMTP_USERNAME=$SMTP_USERNAME - SMTP_PASSWORD=$SMTP_PASSWORD - PUSH_ENABLED=true - PUSH_INSTALLATION_ID=$PUSH_INSTALLATION_ID - PUSH_INSTALLATION_KEY=$PUSH_INSTALLATION_KEY volumes: - $DOCKERDIR/bitwarden:/data labels: traefik.enable: true traefik.http.routers.vaultwarden.rule: Host(`$PASSWORD_MANAGER`) traefik.http.routers.vaultwarden.entryPoints: https traefik.http.services.vaultwarden.loadbalancer.server.port: 80 traefik.http.routers.vaultwarden.service: vaultwarden ``` Browser extension info ![image](https://github.com/dani-garcia/vaultwarden/assets/71321862/bb54fb5d-77bd-49cf-be84-1e1d37dd0958)
BlackDex commented 2 weeks ago

Any logs in Vaultwarden? I doubt it's an issue in the server side.

just5ky commented 2 weeks ago
docker logs vaultwarden
|                        Starting Vaultwarden                        |
|                           Version 1.30.5                           |
| This is an *unofficial* Bitwarden implementation, DO NOT use the   |
| official channels to report bugs/features, regardless of client.   |
| Send usage/configuration questions or feature requests to:         |
|   https://github.com/dani-garcia/vaultwarden/discussions or        |
|   https://vaultwarden.discourse.group/                             |
| Report suspected bugs/issues in the software itself at:            |
|   https://github.com/dani-garcia/vaultwarden/issues/new            |

[INFO] Using saved config from `data/config.json` for configuration.

[2024-06-19 13:56:50.532][vaultwarden::auth][ERROR] Token has expired
[2024-06-19 13:56:50.536][auth][ERROR] Unauthorized Error: Invalid claim
[2024-06-19 13:56:50.536][vaultwarden::api::core::accounts::_][WARN] Request guard `Headers` failed: "Invalid claim".

Any logs in Vaultwarden? I doubt it's an issue in the server side.

Nothing that stands out

BlackDex commented 2 weeks ago

I think it is linked to this PR https://github.com/bitwarden/clients/pull/8746

In that case, it's not something we can fix. Maybe you can check some settings if that might help.

just5ky commented 2 weeks ago

Hmm, it seems to be working fine in MS Edge, will test with other browsers too

BlackDex commented 2 weeks ago

Try to logout, and back in using your password. Not sure if you use the Biometrics functionally, but i have some strange issues on my Windows 11 system. It doesn't popup the biometrics window at all anymore. Maybe related.

But, try to logout and back in using your password and see if that helps.

just5ky commented 2 weeks ago

That's the strange thing, it's also happening on my MAC too

BlackDex commented 2 weeks ago

But what happens if you fully logout and back in again using a password?

just5ky commented 2 weeks ago

But what happens if you fully logout and back in again using a password? Nothing.

Im going to remove and reinstall the extension, seems to only be happening in Brave, on both Win and Mac Works fine on Edge

BlackDex commented 2 weeks ago

Is the extension installed via the chrome store? Or does brave have there own store and thus maybe a different extension id?

That could be an issue then maybe.

Attached: materials data.
# 1
This record from Alexandria via LeMat-Bulk describes a relaxed FeSi2Tc crystal. The functional is PBE.

a b c (Å): 3.1099 3.1099 5.2193
angles (deg): 90.00 90.00 90.00
Last column: nearest neighbours and their distance in Å.
Space group P4mm (No. 99)
One atom of each set of equivalent atoms:
Fe 0.0000 0.0000 0.0000 [1 per cell]  5 Si 2.41
Si 0.0000 0.0000 0.4625 [1 per cell]  1 Fe 2.41, 4 Tc 2.46, 4 Si 2.63
Si 0.5000 0.5000 0.1876 [1 per cell]  4 Fe 2.41, 2 Tc 2.54-2.67, 4 Si 2.63
Tc 0.5000 0.5000 0.6752 [1 per cell]  6 Si 2.46-2.67

Computed properties:
Mass density = 6909 kg/m3
Formation energy from raw total energies = -0.3769 eV per atom
DOS(E_F) = 2.204 states/eV/f.u.
Crystal system = tetragonal

=====

# 2
This record from Alexandria via LeMat-Bulk describes a relaxed Fe2SiTc crystal. The functional is PBE.

a b c (Å): 2.6524 3.6460 4.9519
angles (deg): 90.00 90.00 90.00
Last column: nearest neighbours and their distance in Å.
Space group Pmmm (No. 47)
One atom of each set of equivalent atoms:
Fe 0.0000 0.0000 0.2388 [2 per cell]  2 Fe 2.36-2.59, 4 Si 2.55, 4 Tc 2.60
Si 0.5000 0.5000 0.0000 [1 per cell]  2 Tc 2.48, 8 Fe 2.55, 2 Si 2.65
Tc 0.5000 0.5000 0.5000 [1 per cell]  2 Si 2.48, 8 Fe 2.60, 2 Tc 2.65

Computed properties:
Mass density = 8245 kg/m3
Formation energy from raw total energies = -0.1140 eV per atom
DOS(E_F) = 4.431 states/eV/f.u.
Crystal system = orthorhombic

=====

# 3
This record from Alexandria via LeMat-Bulk describes a relaxed FeSi2Tc crystal. The functional is PBE.

a b c (Å): 2.5533 4.6793 9.7389
angles (deg): 90.00 90.00 90.00
Last column: nearest neighbours and their distance in Å.
Space group Immm (No. 71)
One atom of each set of equivalent atoms:
Fe 0.0000 0.0000 0.0000 [2 per cell]  2 Si 2.36, 2 Fe 2.55
Si 0.0000 0.0000 0.2426 [4 per cell]  1 Fe 2.36, 1 Tc 2.51, 2 Si 2.55
Tc 0.0000 0.0000 0.5000 [2 per cell]  2 Si 2.51, 2 Tc 2.55, 4 Fe 2.67

Computed properties:
Mass density = 5994 kg/m3
Formation energy from raw total energies = 0.5990 eV per atom
DOS(E_F) = 4.239 states/eV/f.u.
Crystal system = orthorhombic

~~~~~

Compound: AcUAsO2
Source: the Alexandria database
Functional: PBE
Structure: optimized geometry Values from VASP.

As for the volume: 19.9 Å³ per atom. The theoretical density is 9.5 g/cm³. For the raw formation energy, the calculation gives -2.557 eV per atom. As for the raw total energy: -0.3142 Ha/atom. For the total magnetization, the calculation gives 1.77 μB per formula unit.

Quantum ESPRESSO input file:
```
&SYSTEM
  ibrav = 0, nat = 10, ntyp = 4
/
ATOMIC_SPECIES
Ac 227.00 Ac.upf
U 238.03 U.upf
As 74.92 As.upf
O 16.00 O.upf
CELL_PARAMETERS angstrom
2.0825 -6.1533 0.0000
2.0825 6.1533 0.0000
0.0000 0.0000 7.7832
ATOMIC_POSITIONS angstrom
Ac 2.0825 3.3228 5.8374
Ac 2.0825 -3.3228 1.9458
U 2.0825 0.0000 0.0000
U 2.0825 0.0000 3.8916
As 2.0825 5.6081 1.9458
As 2.0825 -5.6081 5.8374
O 2.0825 2.0262 0.4455
O 2.0825 2.0262 3.4462
O 2.0825 -2.0262 4.3371
O 2.0825 -2.0262 7.3378
```

~~~~~

(1)

just5ky commented 2 weeks ago

Brave uses Chrome Web Store. Edge too

BlackDex commented 2 weeks ago

Edge has there own store, including a different Bitwarden app id, so it's not a default for edge, at least not anymore.

foux commented 1 week ago

Have the same issue on Chrome on macOS

just5ky commented 1 week ago

Have the same issue on Chrome on macOS

Glad to see that I'm not the only one. That rules out any configurations on the server side.

Does anyone know if there's a way to check browser extension changelogs. Does bitwarden even publish that?

foux commented 1 week ago

All the clients changelogs (including browser extensions) are here : https://github.com/bitwarden/clients/releases

just5ky commented 1 week ago

All the clients changelogs (including browser extensions) are here : https://github.com/bitwarden/clients/releases

Thanks @foux i think this might be the culprit.


Added user verification to passkey flows when required by website

foux commented 1 week ago

THis one was reverted, but not sure if the reverted commit is in production yet. The revert-commit wwas merged two days ago, but as there's nothing related to it in the latests changelog, I suspect it's not deployed yet.

just5ky commented 1 week ago

Can you try creating a demo passkey at https://www.passkeys.io/ When i tried to do it, it fails with the same error.

just5ky commented 1 week ago

You are right it was reverted, but seems it is the one still causing issues Tested on https://webauthn.io/ as revert PR https://github.com/bitwarden/clients/pull/9734

User Verification: Discouraged

Recording 2024-06-22 at 21 55 40

User Verification: Preferred

Recording 2024-06-22 at 21 57 19

Browser extension version 2024.6.2


foux commented 1 week ago

It can't be in 2024.6.2, as it was released before the rollback.

Kitchigo commented 1 week ago

Hello, same error, only on Google Chrome extension, with Mozilla work fine...

bin101 commented 1 week ago

Same for me on Google Chrome extension installed via chrome store.

Debug console reports this: Error: Could not establish connection. Receiving end does not exist.

BlackDex commented 1 week ago

To be clear. This is a client issue as far as I can tell. There is nothing on the server-side it looks like which might cause these issues. If someone who has these issues could verify this with a vault.bitwarden.com or .eu account, that would great.

just5ky commented 1 week ago

Created an account on Bitwarden.com and did the same as my last comment

Encryption Preferred



Desktop App version


Moving the issue to official Bitwarden Repo, since its also happening with an account on Bitwarden.com

just5ky commented 1 week ago

Someone has already done it https://github.com/bitwarden/clients/issues/9795

BlackDex commented 1 week ago

Closing this here since it's not something we can fix.